Taybeh 21 April 2002
Mohammed graduated from Al Quds Univeristy as an economist. His head is bandaged. He was wounded on Friday, April 5, and remained inside the camp for four days with no medical help, and was then captured and detained for three days until he was released by Israeli Defense Forces at the Salem checkpoint.
The first day of the attack: 3 April, there was a closure around the camp. The attack started at 10:00 that evening. It was a random attack, according to Mohammed, who said “it didn’t matter whether it was civilian or fighter.”
There was a skirmish between the soldiers and the civilians in the camp.
Then fire broke out and the army went inside.
The statistics said that more than 180 tanks surrounded the camp, and three bulldozers.
Aircraft began bombing as more troops went inside, advancing inside the camp from the west side.
(These calculated molecules were left in the piece by mistake)
┌──
This record from the OMol25 dataset describes 5 unconnected molecules or ions with the total composition C29H50Cl12F2N4O8P. The level of theory is the ωB97M-V functional and the def2-TZVPD basis.

Each line ends with the Mulliken charge.
CARTESIAN COORDINATES (ANGSTROEM)
C 3.558 -0.670 2.794  -0.762
O 3.414 0.412 1.878  -0.074
C 4.335 1.454 2.148  -0.540
C 4.307 2.509 1.071  -0.920
C 2.893 2.831 0.598  -0.748
C 2.457 1.952 -0.554  -0.095
C 1.146 2.409 -1.180  -0.774
C 0.717 1.413 -2.267  -0.309
C -0.766 1.087 -2.299  -1.865
C -1.370 0.699 -0.961  0.335
C -0.646 -0.418 -0.159  -1.318
C -1.352 -1.786 -0.175  1.421
C -1.258 -2.271 -1.647  -1.893
O 0.092 -2.671 -1.819  -0.338
C 0.740 -2.130 -2.938  -0.253
O 2.076 -1.997 -2.582  0.067
C 3.006 -2.473 -3.542  -0.614
C 4.273 -2.915 -2.815  -0.557
O 4.454 -2.121 -1.657  -0.412
N -0.641 -2.693 0.705  1.341
C 0.645 -2.320 1.260  0.148
C 1.918 -2.747 0.597  -1.361
O 0.678 -1.683 2.297  -0.652
C -0.975 -4.074 0.746  0.768
C -1.071 -4.685 2.127  -1.754
O -1.123 -4.771 -0.230  -0.480
C -2.752 -1.551 0.460  -2.604
N -3.664 -2.644 0.553  1.450
C -3.927 -3.479 -0.532  0.389
O -4.154 -3.101 -1.672  -0.429
F -3.932 -4.759 -0.193  -0.255
C -4.197 -2.959 1.811  0.241
O -3.634 -3.004 2.872  -0.413
F -5.495 -3.222 1.697  -0.263
N -3.425 -0.220 0.076  1.454
N -3.330 0.682 1.202  -0.446
P -5.309 -0.392 -0.183  0.354
C -6.174 0.538 1.123  -1.097
C -5.760 0.241 -1.828  -1.184
C -2.865 0.411 -1.146  -2.387
H 2.572 -0.946 3.139  0.125
H 4.012 -1.507 2.275  0.163
H 4.169 -0.380 3.637  0.545
H 4.079 1.887 3.121  0.150
H 5.336 1.043 2.263  0.431
H 4.919 2.172 0.243  0.394
H 4.790 3.383 1.492  0.340
H 2.228 2.706 1.446  0.246
H 2.903 3.864 0.263  0.494
H 3.241 1.884 -1.298  0.372
H 2.304 0.947 -0.170  -0.136
H 0.417 2.538 -0.387  0.089
H 1.339 3.377 -1.632  0.622
H 0.990 1.835 -3.225  0.883
H 1.331 0.524 -2.166  -0.293
H -0.992 0.380 -3.088  0.419
H -1.277 1.998 -2.610  0.574
H -1.344 1.596 -0.358  0.752
H 0.331 -0.529 -0.603  -0.465
H -0.554 -0.064 0.857  1.550
H -1.502 -1.521 -2.385  0.498
H -1.856 -3.143 -1.867  1.044
H 0.605 -2.792 -3.795  0.402
H 0.377 -1.138 -3.204  -0.152
H 2.628 -3.323 -4.097  0.393
H 3.280 -1.636 -4.180  0.256
H 5.133 -2.834 -3.468  0.293
H 4.156 -3.947 -2.492  0.408
H 4.980 -2.613 -1.031  0.266
H 1.753 -3.505 -0.151  0.379
H 2.354 -1.886 0.107  0.060
H 2.585 -3.095 1.372  0.701
H -1.018 -3.936 2.902  0.336
H -2.005 -5.222 2.184  0.415
H -0.259 -5.389 2.233  0.447
H -2.488 -1.357 1.490  0.965
H -2.371 0.736 1.534  0.281
H -3.615 1.617 0.906  -0.251
H -5.754 0.254 2.074  0.399
H -6.224 1.613 1.002  0.265
H -7.186 0.154 1.108  0.500
H -5.146 -0.142 -2.627  0.349
H -6.765 -0.127 -1.990  0.473
H -5.819 1.322 -1.899  0.370
H -3.335 1.371 -1.293  0.892
H -3.002 -0.169 -2.047  0.619
C -4.645 4.880 1.897  0.229
Cl -3.252 5.384 2.830  -0.054
Cl -4.153 3.743 0.616  -0.044
Cl -5.869 4.152 2.933  -0.113
H -5.075 5.750 1.405  -0.025
C 2.443 3.408 5.624  -0.094
Cl 3.458 4.529 4.718  -0.109
└──
After the resistance became severe, soldiers divided the camp into east and west sides . They also they closed the hospital, prevented ambulances from entering the camp, and put snipers on rooftops of buildings.
Umm Ziad Zbadeh, the mother of a martyr, was injured at the door of the hospital.
Then “the pioneers” of the Israeli army advanced from the north to the south. Troops used sledgehammers to destroy the walls of the houses. They moved from one house to another, going door to door through the camp to destroy homes.
This continued (April 3) Wednesday and (April 4) Thursday
Friday the tanks moved back.
There was a heavy aircraft bombing. The Apaches bore machine guns.
Calculated molecules from another source follow
-- begin --
1.
Entry from OMol25: an isolated molecule of C21H16N4O6 at a distorted geometry (wB97M-V/def2-TZVPD).

```
! RIJCOSX wB97M-V def2-TZVPD def2/J DEFGRID3
* xyz 0 1
C 0.24790 -0.24788 1.81171
O 0.69555 -0.49811 0.49673
C 0.14866 0.21561 -0.51312
C -0.75225 1.25551 -0.36097
C -1.22251 1.96708 -1.46806
C -2.14118 3.06887 -1.26547
N -2.50178 3.37354 -0.08452
N -3.32041 4.39633 0.16254
C -3.73328 4.71158 1.43303
O -4.53893 5.59819 1.61490
C -3.14976 3.88220 2.51956
C -3.97088 3.46617 3.56444
C -3.43557 2.66985 4.56197
C -2.09837 2.31311 4.46969
N -1.29958 2.73998 3.50512
C -1.80457 3.51569 2.56543
C -0.78866 1.62650 -2.74641
C 0.09600 0.57699 -2.91424
C 0.55962 -0.12214 -1.81637
O 1.47513 -1.15219 -2.00133
C 1.12518 -2.37989 -1.58203
O 0.02609 -2.67990 -1.19774
C 2.25924 -3.34061 -1.68959
C 3.54335 -2.92468 -2.03526
C 4.56537 -3.84945 -2.11727
C 4.29495 -5.18677 -1.85123
N 5.36579 -6.15454 -1.93823
O 6.46436 -5.74862 -2.24809
O 5.09761 -7.31068 -1.69642
C 3.01876 -5.61380 -1.50230
C 2.00202 -4.68454 -1.42210
H 0.80097 -0.94185 2.44189
H -0.82338 -0.44418 1.90680
H 0.45797 0.77912 2.12358
H -1.10803 1.54809 0.61213
H -2.48559 3.61855 -2.14812
H -3.71696 4.95125 -0.60196
H -5.00940 3.76274 3.57396
H -4.04227 2.32625 5.38490
H -1.63714 1.66485 5.20317
H -1.10251 3.86710 1.82240
H -1.14548 2.17298 -3.60568
H 0.43582 0.28745 -3.89630
H 3.73174 -1.88201 -2.23455
H 5.57031 -3.55799 -2.38249
H 2.84780 -6.66032 -1.30108
H 0.99829 -4.97539 -1.15302
*
```

Values from the calculation:
- Largest force on an atom: 1.3 eV Å⁻¹
- LUMO: -0.96 eV
- Orbital gap: 7.6 eV
- SMILES: COc1cc(/C=N/NC(=O)c2cccnc2)ccc1OC(=O)c1ccc([N+](=O)[O-])cc1
- Energy relative to the best compared isomer or geometry (same formula, charge and spin): 0.0 kJ/mol

***

2.
Entry from OMol25: a cluster of 5 separate species, C29H28N4O3 in total at a distorted geometry (wB97M-V/def2-TZVPD).

```
! RIJCOSX wB97M-V def2-TZVPD def2/J DEFGRID3
* xyz 0 1
O 4.29766 2.96736 -0.32036
C 3.22021 3.27843 0.06232
O 3.04669 3.62798 1.43795
C 1.65435 3.24649 1.62449
C 1.11313 3.97842 0.31830
C -0.39108 3.55802 0.31050
C -0.78169 2.20367 -0.05093
C -2.20405 1.87426 0.00203
C -3.13505 2.90584 0.41937
C -2.76969 4.27112 0.76158
C -1.34349 4.60978 0.70393
O 2.00173 3.31973 -0.63297
H 1.53447 2.14676 1.46060
H 1.07651 3.73925 2.43939
H 1.29453 5.08810 0.30015
H 0.01403 1.47761 -0.32803
H -2.54646 0.82404 -0.24251
H -4.21725 2.63783 0.48528
H -3.49096 5.05435 1.09018
H -0.96157 5.63259 0.94737
C -5.03118 -3.79394 -0.45105
C -5.27454 -2.73752 -1.31433
C -4.38551 -1.67439 -1.31607
N -3.30561 -1.60520 -0.52956
C -3.09347 -2.63661 0.29634
C -3.91838 -3.74708 0.37262
H -5.70102 -4.64444 -0.42047
H -6.13428 -2.73839 -1.97184
H -4.53202 -0.82579 -1.97653
H -2.21219 -2.55276 0.92377
H -3.69607 -4.55355 1.05881
C 6.12440 0.39436 -2.96804
C 5.88068 1.74370 -2.76710
C 6.34247 2.64009 -3.71864
N 7.01334 2.28037 -4.81881
C 7.23740 0.97350 -4.98913
C 6.81610 -0.00400 -4.10161
H 5.77917 -0.33930 -2.24870
H 5.34532 2.09250 -1.89433
-- stop --
The page goes on
Anyone who moved was hit by rockets or machine guns. There was continuous air raid bombing. At 5 pm , Friday, he was injured
He was injured in his leg and his abdomen. Five young men took him to a house in order to help him. Then they attacked the house in which he was staying. All five young men were killed, and he was again injured. He managed to walk 150 meters where he reached a group of men and women, then felt he was going out of his senses, bleeding heavily. One of the girls tore her dress and tied his head. Then they tried repeatedly to phone for ambulances. They moved him to another house inside the camp. For 24 hours he was unconscious. When he awoke, the family that helped him took him with them in an escape to another house. But each new house he entered was attacked.
“Whenever the soldiers feel suspicion, or there is movement inside the house, they attack it.”
“The house , within an area full of people, was surrounded by soldiers who opened the road by bulldozers, destroying houses. It started form the north gate of the camp, dividing the camp into two sides, from the north to south of the camp
This bulldozing destroyed more than 200 houses. Normally there is no road at all. (The bulldozers just go through a narrow corridor knocking down walls on either side.) No attention was paid to whether or not people were inside the houses. He was in a four story house that the bulldozer destroyed. They started destroying the north side of the building. They were in the southern side of the house, near the stairs.
He was with seven children. He and two others were injured, - one whose hand was completely cut from a projectile (missile) from an M16.
People came from different sides of the camp to help him; young women were crying and screaming, the young men carried him.
Tanks and aircraft came. The injured were ordered to come down. The young man who was with him had an injury in his abdomen. He suspects he has died.
They had no food no water, no sleep.
He was bleeding for 24 hours, and he had no medical help because of shortages. When they went down to the square inside the camp, the soldiers checked them, covered their eyes and transferred them to Haifa Street. They were held outside until the morning. There he asked for a doctor. The second morning at 10 00 am they moved them by bus to the Salem checkpoint.
He asked for a doctor one more time. They refused. He remained for forty-eight hours outside the checkpoint in the square. Then they asked him to go inside for the interrogation. He could not speak. He was released on Tuesday at 1 am in the morning.
From Salem, he was able to get to Rumaini and then from Rumaini to Taibbeh. Here in Taibbeh they did the best they could. Doctors saw him two or there times every day and managed to provide him with medicine.
The five young men killed with him are still now under destroyed houses. The injury to his leg and shoulder were from shrapnel.